Briefing: Support of last resort
Support of last resort: alternatives to local welfare schemes to prevent and relieve homelessness
Moving in to a new home should be a fresh start for families who have previously been homeless. But ideas of what makes a ‘home’ can be severely tested if families are forced to move in without basic household goods, such as a cooker, fridge, carpets or curtains.
[Records of crystals, kept here for reference]
/*
A relaxed Na2AlCuF6 crystal, computed with GGA-PBE.

Computed properties:
For the mass density, the calculation gives 3.2 g/cm³. The value obtained for the calculated formation energy is -2.90 eV/atom.

Geometry as POSCAR:
```
Na2AlCuF6
1.0
4.5317 -2.3162 2.4930
1.5154 1.6388 5.2090
-0.6712 -3.5244 4.3868
Al F Cu Na
1 6 1 2
direct
0.0000 0.0000 0.0000
0.2270 0.2270 0.7730
0.7730 0.7730 0.2270
0.2270 0.7730 0.2270
0.2270 0.7730 0.7730
0.7730 0.2270 0.2270
0.7730 0.2270 0.7730
0.5000 0.5000 0.5000
0.2500 0.2500 0.2500
0.7500 0.7500 0.7500
```

A relaxed Ge3N4 crystal, computed with GGA-PBE.

Computed properties:
For the mass density, the calculation gives 6.3 g/cm³. The value obtained for the calculated formation energy is -0.14 eV/atom. As for the energy above the lowest structure with this stoichiometry: 10.5 kJ/mol of atoms.

Geometry as POSCAR:
```
Ge3N4
1.0
0.0000 4.1558 4.1558
4.1558 0.0000 4.1558
4.1558 4.1558 0.0000
N Ge
8 6
direct
0.3505 0.8832 0.8832
0.3668 0.3668 0.3668
0.3668 0.3668 0.8995
0.8832 0.8832 0.3505
0.8832 0.8832 0.8832
0.8832 0.3505 0.8832
0.8995 0.3668 0.3668
0.3668 0.8995 0.3668
0.1250 0.6250 0.1250
0.1250 0.1250 0.6250
0.6250 0.1250 0.1250
0.7500 0.7500 0.7500
0.1250 0.1250 0.1250
0.5000 0.5000 0.5000
```

A relaxed Ba6YBr15 crystal, computed with GGA-PBE.

Computed properties:
For the mass density, the calculation gives 3.0 g/cm³. The value obtained for the calculated formation energy is -2.43 eV/atom. As for the energy above the lowest structure with this stoichiometry: 3.7 kJ/mol of atoms.

Geometry as POSCAR:
```
Ba6YBr15
1.0
-8.8241 4.2090 7.5489
1.4655 -13.6670 9.3333
16.3237 5.1797 16.1932
Br Ba Y
60 24 4
direct
0.6173 0.2827 0.4767
0.4691 0.9417 0.7960
0.6413 0.4324 0.8958
0.3833 0.9452 0.3697
0.1256 0.6904 0.3858
0.1173 0.2173 0.0233
0.1142 0.5891 0.9932
0.7183 0.4253 0.3029
0.8684 0.0943 0.5000
0.6167 0.0548 0.6303
0.7839 0.8316 0.6731
0.6316 0.5943 0.0000
0.6310 0.2038 0.0278
0.1245 0.0288 0.9362
0.3731 0.7598 0.2471
0.1269 0.2598 0.7471
0.1254 0.4718 0.5554
0.8833 0.5548 0.1303
0.3755 0.5288 0.4362
0.0304 0.3174 0.1856
0.6256 0.8096 0.1142
0.1413 0.0676 0.6042
0.3690 0.7962 0.9722
0.3587 0.5676 0.1042
0.6254 0.0282 0.9446
0.6142 0.9109 0.5068
0.6245 0.4712 0.5638
0.3684 0.4057 0.0000
0.8587 0.9324 0.3958
0.5304 0.1826 0.3144
0.2839 0.6684 0.8269
0.8755 0.9712 0.0638
0.8752 0.1820 0.8842
0.2161 0.1684 0.3269
0.3858 0.0891 0.4932
0.3827 0.7173 0.5233
0.1167 0.4452 0.8697
0.8746 0.5282 0.4446
0.6269 0.2402 0.7529
0.8744 0.3096 0.6142
0.8827 0.7827 0.9767
0.0309 0.4417 0.2960
0.8858 0.4109 0.0068
0.3744 0.1904 0.8858
0.9696 0.6826 0.8144
0.1316 0.9057 0.5000
0.3752 0.3180 0.6158
0.2183 0.0747 0.1971
0.1248 0.8180 0.1158
0.2817 0.5747 0.6971
0.5309 0.0583 0.2040
0.7161 0.3316 0.1731
0.7817 0.9253 0.8029
0.1310 0.2962 0.4722
0.8690 0.7038 0.5278
0.9691 0.5583 0.7040
0.4696 0.8174 0.6856
0.8731 0.7402 0.2529
0.6248 0.6820 0.3842
0.3746 0.9718 0.0554
0.3773 0.7432 0.3806
0.8720 0.6060 0.9430
0.1272 0.2518 0.6162
*/
At Shelter, we see far too many families move into new tenancies with few, or no, possessions with which to make a home, and too little money to buy them. Many families see little alternative but to take on risky and unmanageable debt, in order to secure these items essential to setting up a home. This exposes them to the risk of rent arrears, threatening their ability to make a success of their new tenancy, right from the start. Rent arrears can quickly lead to eviction and families facing homelessness again, with devastating impacts on their health, wellbeing and their children’s education.
If local welfare assistance is lost, or continues to be too restrictive, then there is absolutely no other emergency fund that is flexible enough to help people in financial crisis and prevent, or relieve, homelessness. Without this vital source of help (through grants or low-cost loans), families are forced to go without, to cut back on other essentials, or to resort to very high-cost, short-term loans with unfair consumer contract terms. Our Services report increasing numbers of clients prioritising payment to rent-to-own companies over their rent, risking arrears and homelessness.
This briefing examines the impact of the change from the Social Fund to local welfare assistance schemes. It analyses the support provided by existing local welfare schemes and assesses possible alternatives to them, including high-cost, short-term, lenders such as rent-to-own companies and pay-day lenders, and affordable credit schemes including DWP budgeting loans, advance payments and budgeting advances in Universal Credit, credit unions and microfinance initiatives, fairer loans from Community Interest Companies and social enterprises, and furnished housing schemes. It also analyses the suitability of furniture re-use schemes and mixed packages of support.
It is intended to act as a catalyst for further thinking and discussion about how best to support families in crisis situations, so that a bad situation does not become a disaster.
Next steps
To take this conversation forward, and to ensure the sustainability of safety net support for families facing a financial crisis that might otherwise lead to eviction and homelessness, we set out the following next steps:
* With the future of so much of this essential support in doubt, there is an urgent need for the government to increase its understanding of the support currently available and undertake research to explore the likely impacts – on vulnerable families, local councils and wider public services – of families being left without it
* The government must provide sufficient funding to ensure that councils can afford to maintain their grant schemes, for families facing a financial crisis who cannot afford to make loan repayments and should allow more tenants to access advance payments from their benefits, including child tax credits and working tax credits (and the equivalent in Universal Credit). Repayments should be set at reasonable levels and take into account claimants’ ability to pay for essential household items
* The government must act to end the poverty premium, paying particular attention to markets and companies that operate in ways that are unfair to consumers
* Local councils which don’t already have partnerships with credit unions should examine how these partnerships might increase their ability to provide loans from their local welfare schemes. They should work together, and with other loan providers, to examine ways to incentivise loan repayments – both to increase the sustainability of schemes, and support families in growing their own savings pots and increasing their resilience to financial crises
* Local councils and housing associations should work together to develop models of mixed provision; combining individualised tenancy support, loans, grants and furniture re-use schemes. This could be achieved by councils replicating the model, or housing associations widening the reach of their schemes to include vulnerable local people who are not their own tenants
* Local councils and furniture re-use schemes should increase opportunities to work with big retail suppliers to provide essential household items free of charge to families who cannot afford to make loan repayments
* Organisations which have an interest in other aspects of local welfare schemes should continue to continue to work together to explore common ground and identify shared, sustainable, pan-client group solutions